(To do)
Now say how many lines of the notes further below hold the word "Ag1", as a bare number.
(Input)
~~~
Entry from Alexandria via LeMat-Bulk: a geometry-optimized NdZn5Ag7 structure (PBE-GGA).

Lattice parameters (Å, degrees): 5.2631 7.1394 7.1394 81.94 68.37 68.37
Fractional positions:
Ag1 0.5037 0.2063 0.7863
Ag2 0.2795 0.2205 0.2205
Ag3 0.9992 0.6528 0.3488
Ag4 0.5037 0.7863 0.2063
Ag5 0.3420 0.6580 0.6580
Ag6 0.9992 0.3488 0.6528
Ag7 0.6476 0.3524 0.3524
Nd1 0.9976 0.0024 0.0024
Zn1 0.7205 0.7795 0.7795
Zn2 0.0015 0.9963 0.5001
Zn3 0.5021 0.5001 0.9963
Zn4 0.5021 0.9963 0.5001
Zn5 0.0015 0.5001 0.9963

Values from the calculation:
DFT formation energy, eV/atom: -0.151

***

Entry from Alexandria via LeMat-Bulk: a geometry-optimized FeAsI3 structure (PBE-GGA).

Lattice parameters (Å, degrees): 5.7288 5.7288 5.7288 90.00 90.00 90.00
Last column: magnetic moment on the atom in μB.
Fractional positions:
I1 0.0000 0.0000 0.5000  0.03
I2 0.0000 0.5000 0.0000  0.04
I3 0.5000 0.0000 0.0000  0.05
As1 0.0000 0.0000 0.0000  -0.04
Fe1 0.5000 0.5000 0.5000  3.66

Values from the calculation:
E above lowest polymorph, meV/atom: 59.1

***

Entry from Alexandria via LeMat-Bulk: a geometry-optimized CrHgW2 structure (PBE-GGA).

Lattice parameters (Å, degrees): 9.1796 9.1796 9.1796 18.21 18.21 18.21
Fractional positions:
Cr1 0.2500 0.2500 0.2500
W1 0.9893 0.9893 0.9893
W2 0.5107 0.5107 0.5107
Hg1 0.7500 0.7500 0.7500

Values from the calculation:
DFT formation energy, eV/atom: 0.633

***

Entry from Alexandria via LeMat-Bulk: a geometry-optimized AcMg2Bi structure (PBE-GGA).

Lattice parameters (Å, degrees): 5.0944 5.0944 6.4525 66.75 66.75 60.00
Fractional positions:
Mg1 0.7809 0.7809 0.6572
Mg2 0.2191 0.2191 0.3428
Ac1 0.0000 0.0000 0.0000
Bi1 0.5000 0.5000 0.5000

Values from the calculation:
DFT formation energy, eV/atom: -0.127

***

Entry from Alexandria via LeMat-Bulk: a geometry-optimized CeDyTePb structure (PBE-GGA).

Lattice parameters (Å, degrees): 5.4509 5.4509 5.4509 60.00 60.00 60.00
Last column: magnetic moment on the atom in μB.
Fractional positions:
Ce1 0.7500 0.7500 0.7500  0.70
Dy1 0.2500 0.2500 0.2500  0.16
Te1 0.5000 0.5000 0.5000  -0.04
Pb1 0.0000 0.0000 0.0000  -0.05

Values from the calculation:
E above lowest polymorph, meV/atom: 183.2

***

Entry from Alexandria via LeMat-Bulk: a geometry-optimized Co3HgW structure (PBE-GGA).

Lattice parameters (Å, degrees): 4.5767 4.5767 4.5767 90.00 90.00 90.00
Last column: magnetic moment on the atom in μB.
Fractional positions:
W1 0.5000 0.5000 0.5000  0.49
Co1 0.0000 0.0000 0.5000  1.99
Co2 0.0000 0.5000 0.0000  1.68
Co3 0.5000 0.0000 0.0000  1.55
Hg1 0.0000 0.0000 0.0000  -0.03

Values from the calculation:
E above lowest polymorph, meV/atom: 912.8
DFT formation energy, eV/atom: 2.320

***
~~~
(Here it is)
1